FCA’s Final Report on wholesale Data Market Study reflects a need for further action
Jointly with the European Fund and Asset Management Association (EFAMA), EFSA comments on the FCA’s Final Report on wholesale Data Market Study
EFSA is a forum of European Securities Associations for information sharing and fostering mutual understanding. EFSA itself is not a legal entity but a self-organising working-group. As such, it also helps to deliver joint messages on policy issues in European securities markets to policy makers, regulators, industry representatives and the interested public who we hope might benefit from such a coordinated approach. EFSA complements the existing activities of its member-associations.
Jointly with the European Fund and Asset Management Association (EFAMA), EFSA comments on the FCA’s Final Report on wholesale Data Market Study
The European Forum of Securities Associations (EFSA) points out its priorities for developing deeper and more efficient EU capital markets
The European Forum of Securities Associations (EFSA) participates in the European Commission's “Have Your Say-Consultation” on the proposed Retail Investment Strategy
Next to the article, the page also holds materials data:
<<<
For FeIBr5, the GGA-PBE geometry in Alexandria gives the simulated X-ray diffraction stick pattern in this record (Cu Kα).

Main lines, most intense first (15° ≤ 2θ ≤ 90°):
d [Å]	Position (°2θ)	I/Imax
3.672	24.24	100.0
5.190	17.08	73.6
3.186	28.01	59.2
4.306	20.63	56.6
2.595	34.56	42.5
2.344	38.40	39.5
3.929	22.63	34.5
2.898	30.85	32.2
3.567	24.97	30.7
2.868	31.18	28.4

Atomic structure:
a = 7.9963 Å, b = 7.9992 Å, c = 10.3272 Å
α = 104.48°, β = 104.46°, γ = 99.18°
Positions (direct):
Fe  0.2002  0.3008  0.2503
Fe  0.7998  0.6992  0.7497
I  0.0000  0.0000  0.5000
I  0.5000  0.5000  0.0000
Br  0.0659  0.7602  0.9217
Br  0.2352  0.0548  0.3478
Br  0.2557  0.2440  0.7500
Br  0.2610  0.5668  0.4224
Br  0.4461  0.2651  0.1525
Br  0.5539  0.7349  0.8475
Br  0.7390  0.4332  0.5776
Br  0.7443  0.7560  0.2500
Br  0.7648  0.9452  0.6522
Br  0.9341  0.2398  0.0783

For Bi2Pd3, the GGA-PBE geometry in Alexandria gives the simulated X-ray diffraction stick pattern in this record (Cu Kα).

Main lines, most intense first (15° ≤ 2θ ≤ 90°):
d [Å]	Position (°2θ)	I/Imax
2.381	37.78	100.0
3.414	26.10	76.0
1.948	46.63	73.8
2.120	42.65	70.4
2.736	32.74	60.5
1.983	45.76	55.6
3.355	26.57	46.3
2.184	41.34	44.9
2.473	36.33	42.1
1.362	68.92	36.1

Atomic structure:
a = 7.2014 Å, b = 7.2014 Å, c = 7.2014 Å
α = 124.47°, β = 73.90°, γ = 135.35°
Positions (direct):
Bi  0.1563  0.2445  0.4007
Bi  0.3437  0.7445  0.0882
Bi  0.6563  0.2555  0.9118
Bi  0.8437  0.7555  0.5993
Pd  0.0958  0.6430  0.7388
Pd  0.2500  0.2500  0.0000
Pd  0.4042  0.1430  0.5472
Pd  0.5958  0.8570  0.4528
Pd  0.7500  0.7500  0.0000
Pd  0.9042  0.3570  0.2612

For Y4Zn, the GGA-PBE geometry in Alexandria gives the simulated X-ray diffraction stick pattern in this record (Cu Kα).

Main lines, most intense first (15° ≤ 2θ ≤ 90°):
d [Å]	Position (°2θ)	I/Imax
2.713	33.01	100.0
2.663	33.65	98.9
2.765	32.38	53.1
2.863	31.24	44.9
1.522	60.85	22.9
1.823	50.03	18.2
1.537	60.19	17.3
1.566	58.98	13.9
1.597	57.74	13.3
1.949	46.59	13.3

Atomic structure:
a = 6.5209 Å, b = 6.5209 Å, c = 12.6716 Å
α = 92.88°, β = 92.88°, γ = 32.47°
Positions (direct):
Y  0.0774  0.0774  0.3402
Y  0.1449  0.1449  0.0741
Y  0.3477  0.3477  0.4253
Y  0.4159  0.4159  0.1621
Y  0.5841  0.5841  0.8379
Y  0.6523  0.6523  0.5747
Y  0.8551  0.8551  0.9259
Y  0.9226  0.9226  0.6598
Zn  0.2550  0.2550  0.7497
Zn  0.7450  0.7450  0.2503

For Th4TeAsS2, the GGA-PBE geometry in Alexandria gives the simulated X-ray diffraction stick pattern in this record (Cu Kα).

Main lines, most intense first (15° ≤ 2θ ≤ 90°):
d [Å]	Position (°2θ)	I/Imax
2.111	42.84	100.0
2.989	29.89	89.0
3.447	25.85	71.5
2.978	30.01	43.3
1.724	53.14	35.5
1.336	70.47	31.2
1.802	50.66	25.1
1.220	78.42	23.2
1.333	70.68	14.5
1.797	50.81	11.7

Atomic structure:
a = 5.9781 Å, b = 5.9781 Å, c = 11.9124 Å
α = 90.00°, β = 90.00°, γ = 90.00°
Positions (direct):
Th  0.0000  0.0000  0.2415
Th  0.0000  0.0000  0.7585
Th  0.0000  0.5000  0.0000
Th  0.0000  0.5000  0.5000
>>>
So much for the materials data:
The European Forum of Securities Associations (EFSA) and the Nordic Securities Association (NSA) jointly publish priorities for the upcoming Trilogue for the MiFIDII/Review
The European Forum of Securities Associations (EFSA) participates in the European Commission's consultation on the future regulatory treatment of financial research
The European Forum of Securities Associations (EFSA) defines its priorities regarding the EU-Retail Investment Strategy project
Jointly with BVI, EFAMA and NSA, the European Forum of Securities Associations points out its priorities with respect to the MiFIDII/MiFIR review
EFAMA and EFSA comment on the EU Commission proposal for a revised Market in Financial Instrument Regulation (MiFIR)
EFAMA and EFSA publish a joint statement on Market Structure and Transparency
EFAMA and EFSA publish a joint statement on the proposed introduction of a consolidated tape.
EFAMA and EFSA welcome the publication of Market Infrastructure Partners’ Study on the Creation of an EU Consolidated Tape which addresses the challenges, demand, benefits and proposed architecture for consolidating European financial market data.
The European Fund and Asset Management Association (EFAMA) and the European Forum of Securities Associations (EFSA) jointly publish a statement on the benefits of reasonable market data costs fort he real economy.
MiFID 2/R, in conjunction with Level 2 and Level 3, forms the cornerstone of financial regulation for securities markets in EU. However, there are some areas of MiFID2/R which need recalibration in order to deliver the intended policy outcome and to avoid unintended harm to the market, liquidity and investor choice. Considering that the timeline for the Commission’s reports on certain parts of MiFID 2/R is approaching, EFSA members would like to contribute to the discussion by highlighting a number of issues which we believe should be a priority in the context of a review.
EFSA wrote to the finance ministers of states participating in the enhanced cooperation procedure for the European financial transaction tax (FFT). EFSA spells out the highly negative consequences that the FTT would have not only for the economy – it would put a damper on growth – but also for issuers and investors, who are the end-users of financial markets. These findings are based on a report by Oliver Wyman titled The impact of the EU-11 financial transaction tax on end-users.
ESMA members, together with other financial market trade associations, issued a statement in support of a Transatlantic Trade and Investment Partnership (TTIP) that includes financial services regulatory coordination, in advance of the March 26 EU‐US Summit attended by US President Barack Obama, European Council President Herman Van Rompuy and European Commission President José Manuel Barroso.
European trade associations write a joint letter to members in order to raise the awareness of the requirement to use legal entity identifier (LEI) codes under the EMIR regulation.
EFSA raises its voice towards EU institutions, requesting a stronger coherence with respect to European implementation timeframes.
EFSA submits a comment letter in reply to CESR’s call for evidence concerning the regulation of short selling.